**Given:**
Record 1
LaMg14Sb: simulated powder X-ray diffraction pattern (a wavelength of 1.5418 Å), based on a structure optimized by DFT (PBE).
Lines closer than 0.1° are merged.

Atomic structure:
```
data_LaMg14Sb
_cell_length_a 6.4889
_cell_length_b 6.4889
_cell_length_c 10.7439
_cell_angle_alpha 90.00
_cell_angle_beta 90.00
_cell_angle_gamma 120.00
_space_group_name_H-M_alt 'P -6 m 2'
_space_group_IT_number 187
_space_group_name_Hall 'P -6 2'
loop_
_atom_site_label
_atom_site_type_symbol
_atom_site_fract_x
_atom_site_fract_y
_atom_site_fract_z
La1 La 0.0000 0.0000 0.0000
Mg1 Mg 0.0075 0.5037 0.0000
Mg2 Mg 0.1671 0.3342 0.2531
Mg3 Mg 0.5014 0.0027 0.5000
Mg4 Mg 0.6667 0.3333 0.2448
Sb1 Sb 0.0000 0.0000 0.5000
```

Largest 10 diffraction maxima, in order of falling intensity, 2θ from 10° to 90°:
| h k l | 2θ/deg | d_spacing | I (rel.) |
| --- | --- | --- | --- |
| 2 0 2 | 36.07 | 2.490 | 100 |
| 1 0 0 | 15.77 | 5.620 | 54 |
| 1 0 2 | 22.90 | 3.883 | 46 |
| 2 0 0 | 31.85 | 2.810 | 30 |
| 0 0 4 | 33.36 | 2.686 | 27 |
| 2 0 6 | 61.40 | 1.510 | 20 |
| 2 0 4 | 46.79 | 1.942 | 20 |
| 1 1 2 | 32.23 | 2.777 | 19 |
| 2 2 4 | 67.45 | 1.389 | 19 |
| 2 2 0 | 56.75 | 1.622 | 17 |


Record 2
MgTe6Mo2W2S2: simulated powder X-ray diffraction pattern (a wavelength of 1.5418 Å), based on a structure optimized by DFT (PBE).
Lines closer than 0.1° are merged.

Atomic structure:
```
data_MgTe6Mo2W2S2
_cell_length_a 6.0194
_cell_length_b 3.4752
_cell_length_c 43.7646
_cell_angle_alpha 90.00
_cell_angle_beta 90.16
_cell_angle_gamma 90.00
_space_group_name_H-M_alt 'C 1 m 1'
_space_group_IT_number 8
loop_
_space_group_symop_operation_xyz
'x,y,z'
'x,-y,z'
'x+1/2,y+1/2,z'
'x+1/2,-y+1/2,z'
loop_
_atom_site_label
_atom_site_type_symbol
_atom_site_fract_x
_atom_site_fract_y
_atom_site_fract_z
Mg1 Mg 0.0000 0.0000 0.0000
Te1 Te 0.0030 0.0000 0.2215
Te2 Te 0.0034 0.0000 0.8412
Te3 Te 0.0048 0.0000 0.3057
Te4 Te 0.0051 0.0000 0.9258
Te5 Te 0.1696 0.5000 0.4099
Te6 Te 0.1714 0.5000 0.4944
Mo1 Mo 0.0027 0.0000 0.0818
Mo2 Mo 0.1706 0.5000 0.2636
W1 W 0.0038 0.0000 0.4522
W2 W 0.1709 0.5000 0.8834
S1 S 0.1689 0.5000 0.0479
S2 S 0.1699 0.5000 0.1151
```

Largest 10 diffraction maxima, in order of falling intensity, 2θ from 10° to 90°:
| h k l | 2θ/deg | d_spacing | I (rel.) |
| --- | --- | --- | --- |
| 0 0 5 | 10.11 | 8.753 | 100 |
| 1 1 8 | 34.00 | 2.637 | 47 |
| 2 0 -13 | 40.18 | 2.244 | 46 |
| 1 1 0 | 29.69 | 3.009 | 31 |
| 3 1 0 | 52.68 | 1.738 | 21 |
| 2 0 -11 | 37.46 | 2.401 | 13 |
| 2 0 10 | 36.22 | 2.480 | 13 |
| 2 0 -5 | 31.43 | 2.846 | 11 |
| 0 0 6 | 12.13 | 7.294 | 11 |
| 3 1 -5 | 53.79 | 1.704 | 9 |


Record 3
Zn4CdS5: simulated powder X-ray diffraction pattern (a wavelength of 1.5418 Å), based on a structure optimized by DFT (PBE).
Lines closer than 0.1° are merged.

Atomic structure:
```
data_Zn4CdS5
_cell_length_a 3.9279
_cell_length_b 3.9279
_cell_length_c 32.3354
_cell_angle_alpha 90.00
_cell_angle_beta 90.00
_cell_angle_gamma 120.00
_space_group_name_H-M_alt 'P 3 m 1'
_space_group_IT_number 156
loop_
_space_group_symop_operation_xyz
'x,y,z'
'-y,x-y,z'
'-x+y,-x,z'
'-y,-x,z'
'-x+y,y,z'
'x,x-y,z'
loop_
_atom_site_label
_atom_site_type_symbol
_atom_site_fract_x
_atom_site_fract_y
_atom_site_fract_z
Zn1 Zn 0.0000 0.0000 0.0000
Zn2 Zn 0.0000 0.0000 0.1951
Zn3 Zn 0.0000 0.0000 0.3944
Zn4 Zn 0.0000 0.0000 0.5901
Zn5 Zn 0.0000 0.0000 0.7955
Zn6 Zn 0.6667 0.3333 0.0966
Zn7 Zn 0.6667 0.3333 0.2947
Zn8 Zn 0.6667 0.3333 0.4931
Cd1 Cd 0.6667 0.3333 0.6914
Cd2 Cd 0.6667 0.3333 0.8950
S1 S 0.0000 0.0000 0.1211
S2 S 0.0000 0.0000 0.3200
S3 S 0.0000 0.0000 0.5171
S4 S 0.0000 0.0000 0.7236
S5 S 0.0000 0.0000 0.9276
S6 S 0.6667 0.3333 0.0233
S7 S 0.6667 0.3333 0.2203
S8 S 0.6667 0.3333 0.4193
S9 S 0.6667 0.3333 0.6134
S10 S 0.6667 0.3333 0.8173
```

Largest 10 diffraction maxima, in order of falling intensity, 2θ from 10° to 90°:
| h k l | 2θ/deg | d_spacing | I (rel.) |
| --- | --- | --- | --- |
| 0 1 5 | 29.67 | 3.011 | 100 |
| 1 0 0 | 26.20 | 3.402 | 80 |
**Activity:**
Your job: copy every line further above that contains the word "La".
**Done:**
La1 La 0.0000 0.0000 0.0000